Assignment =
Return the material further below from the first line to the one with "18.098" without additions.

Excerpt =
********
K4V3InF12 PBE with a Hubbard U relaxed; mass density = 3.37 g/cm3; VASP energy = -104.7 eV for the cell shown; total moment = 0.50 μB per atom
1.0
7.472 0.000 0.000
-2.491 7.045 0.000
-2.491 -3.522 6.101
K V F In
4 3 12 1
Cartesian
1.245 1.761 3.050 K
-1.245 3.522 0.000 K
-1.245 -1.761 3.050 K
3.736 0.000 0.000 K
-2.491 1.761 3.050 V
2.491 -1.761 3.050 V
2.491 3.522 0.000 V
1.293 -0.914 1.583 F
-3.689 2.608 4.518 F
-1.245 0.881 4.576 F
3.689 5.217 0.000 F
3.736 2.642 1.525 F
-1.293 0.914 1.583 F
1.245 -0.881 4.576 F
3.689 -2.608 4.518 F
3.736 0.000 3.050 F
-1.245 3.522 3.050 F
1.293 1.828 0.000 F
1.245 4.403 1.525 F
0.000 0.000 0.000 In

~~~~~

Computed, not measured: a relaxed structure of PmTm3Tl4Te8 at the PBE level of DFT.

```
16
Lattice="4.443 2.565 8.192 -4.443 2.565 8.192 0.000 -5.130 8.192" Properties=species:S:1:pos:R:3 pbc="T T T"
Pm 0.000 0.000 0.000
Tm -2.221 -1.282 8.192
Tm -2.221 1.282 16.384
Tm 0.000 2.565 8.192
Tl -4.443 0.000 12.288
Tl -2.221 1.282 4.096
Tl 2.221 1.282 4.096
Tl 0.000 0.000 12.288
Te 0.000 -2.504 9.940
Te -2.168 1.252 9.940
Te 0.000 0.000 6.479
Te -2.168 -1.252 14.636
Te 2.168 1.252 9.940
Te 0.000 0.000 18.098
Te 2.168 -1.252 14.637
Te 0.000 2.504 14.637
```

space group: R-3m, No. 166
total magnetization: 0.0 Bohr magnetons per cell
raw formation energy: -1.037 eV per atom

Computed, not measured: a relaxed structure of YSiPCl2 at the PBE level of DFT.

```
5
Lattice="5.083 0.000 0.000 0.000 5.083 0.000 0.000 0.000 5.687" Properties=species:S:1:pos:R:3 pbc="T T T"
Y 0.000 0.000 0.000
Si 2.541 2.541 2.843
P 0.000 0.000 2.843
Cl 0.000 2.541 0.000
Cl 2.541 0.000 0.000
```

space group: P4/mmm, No. 123
E above lowest polymorph: 33 kJ/mol of formula units
total magnetization: 0.0 Bohr magnetons per cell
raw formation energy: -0.346 eV per atom

Computed, not measured: a relaxed structure of AlTl2Mo at the PBE level of DFT.

```
4
Lattice="3.136 0.000 0.000 0.000 4.851 0.000 -1.469 0.000 5.508" Properties=species:S:1:pos:R:3 pbc="T T T"
Al 0.000 0.000 0.000
Tl 0.100 2.425 4.224
Tl 1.596 0.000 2.486
Mo 0.040 2.425 1.275
```

space group: Pm, No. 6
DFT formation energy: 0.55 eV/atom
E above lowest polymorph: 61 kJ/mol of formula units
total magnetization: 0.0 Bohr magnetons per cell

Computed, not measured: a relaxed structure of TmMgZnPd at the PBE level of DFT.

```
4
Lattice="0.000 3.369 3.369 3.369 0.000 3.369 3.369 3.369 0.000" Properties=species:S:1:pos:R:3 pbc="T T T"
Tm 0.000 0.000 0.000
Mg 3.369 3.369 3.369
Zn 1.684 1.684 1.684
Pd 5.053 5.053 5.053
```

space group: F-43m, No. 216
DFT formation energy: -0.55 eV/atom
total magnetization: 0.0 Bohr magnetons per cell

Computed, not measured: a relaxed structure of CeLuRh2 at the PBE level of DFT.

```
4
Lattice="1.964 1.134 6.554 -1.964 1.134 6.554 0.000 -2.268 6.554" Properties=species:S:1:pos:R:3 pbc="T T T"
Ce 0.000 0.000 0.000
Lu 0.000 0.000 9.830
Rh 0.000 0.000 4.943
Rh 0.000 0.000 14.718
```

space group: R-3m, No. 166
DFT formation energy: -0.70 eV/atom
total magnetization: 0.0 Bohr magnetons per cell

Computed, not measured: a relaxed structure of Mn2FeBr at the PBE level of DFT.

```
4
Lattice="1.554 0.897 7.703 -1.554 0.897 7.703 0.000 -1.794 7.703" Properties=species:S:1:pos:R:3 pbc="T T T"
Mn 0.000 0.000 0.000
Mn 0.000 0.000 5.777
Fe 0.000 0.000 11.844
Br 0.000 0.000 17.497
```

space group: R3m, No. 160
E above lowest polymorph: 81 kJ/mol of formula units
total magnetization: 8.9 Bohr magnetons per cell
raw formation energy: 0.572 eV per atom

Computed, not measured: a relaxed structure of DyPdAu4 at the PBE level of DFT.

```
6
Lattice="3.562 0.000 0.000 0.000 3.720 0.000 0.000 0.000 8.699" Properties=species:S:1:pos:R:3 pbc="T T T"
Dy 0.000 0.000 0.000
Pd 1.781 1.860 4.350
Au 0.000 0.000 2.954
Au 0.000 0.000 5.745
Au 1.781 1.860 1.555
Au 1.781 1.860 7.144
```

space group: Pmmm, No. 47
DFT formation energy: -0.44 eV/atom
E above lowest polymorph: 43 kJ/mol of formula units
total magnetization: 0.0 Bohr magnetons per cell
********

Result =
K4V3InF12 PBE with a Hubbard U relaxed; mass density = 3.37 g/cm3; VASP energy = -104.7 eV for the cell shown; total moment = 0.50 μB per atom
1.0
7.472 0.000 0.000
-2.491 7.045 0.000
-2.491 -3.522 6.101
K V F In
4 3 12 1
Cartesian
1.245 1.761 3.050 K
-1.245 3.522 0.000 K
-1.245 -1.761 3.050 K
3.736 0.000 0.000 K
-2.491 1.761 3.050 V
2.491 -1.761 3.050 V
2.491 3.522 0.000 V
1.293 -0.914 1.583 F
-3.689 2.608 4.518 F
-1.245 0.881 4.576 F
3.689 5.217 0.000 F
3.736 2.642 1.525 F
-1.293 0.914 1.583 F
1.245 -0.881 4.576 F
3.689 -2.608 4.518 F
3.736 0.000 3.050 F
-1.245 3.522 3.050 F
1.293 1.828 0.000 F
1.245 4.403 1.525 F
0.000 0.000 0.000 In

~~~~~

Computed, not measured: a relaxed structure of PmTm3Tl4Te8 at the PBE level of DFT.

```
16
Lattice="4.443 2.565 8.192 -4.443 2.565 8.192 0.000 -5.130 8.192" Properties=species:S:1:pos:R:3 pbc="T T T"
Pm 0.000 0.000 0.000
Tm -2.221 -1.282 8.192
Tm -2.221 1.282 16.384
Tm 0.000 2.565 8.192
Tl -4.443 0.000 12.288
Tl -2.221 1.282 4.096
Tl 2.221 1.282 4.096
Tl 0.000 0.000 12.288
Te 0.000 -2.504 9.940
Te -2.168 1.252 9.940
Te 0.000 0.000 6.479
Te -2.168 -1.252 14.636
Te 2.168 1.252 9.940
Te 0.000 0.000 18.098